还津阁 >风水知识

Crystal structures from another source follow:
____________
A relaxed structure of MnHgI, computed with PBE.

Cell and atoms, written as extended XYZ:
```
6
Lattice="13.850 0.000 0.000 0.000 1.952 3.383 0.000 -1.952 3.383" Properties=species:S:1:pos:R:3 pbc="T T T"
Mn 0.000 0.000 0.000
Mn 6.925 0.000 0.023
Hg 5.231 0.000 2.278
Hg 8.619 0.000 2.278
I 1.833 0.000 2.253
I 12.017 0.000 2.253
```

Summary:
D(E_F) = 1.472 states/eV/f.u.
Energy relative to the lowest polymorph listed for this composition = 87 meV per atom

=====

A relaxed structure of MnHgI, computed with PBE.

Cell and atoms, written as extended XYZ:
```
6
Lattice="4.021 0.000 0.000 -0.003 7.001 0.000 -1.994 -2.717 6.289" Properties=species:S:1:pos:R:3 pbc="T T T"
Mn 0.000 0.000 0.000
Mn 0.014 -1.407 4.590
Hg 2.007 5.051 0.041
Hg 2.023 0.106 6.007
I 0.009 0.544 2.632
I 2.023 3.945 3.532
```

Summary:
D(E_F) = 1.410 states/eV/f.u.
Energy relative to the lowest polymorph listed for this composition = 1 meV per atom

=====

A relaxed structure of MnHgI, computed with PBE.

Cell and atoms, written as extended XYZ:
```
6
Lattice="2.162 -8.585 0.000 2.162 8.585 0.000 -0.274 0.000 5.766" Properties=species:S:1:pos:R:3 pbc="T T T"
Mn 0.863 0.000 0.444
Mn 3.187 0.000 5.321
Hg 2.025 -4.904 2.883
Hg 2.025 -8.485 2.883
I 2.162 2.113 0.000
I 2.162 -2.121 0.000
```

Summary:
D(E_F) = 1.360 states/eV/f.u.
Energy relative to the lowest polymorph listed for this composition = 217 meV per atom

=====

A relaxed structure of MnHgI, computed with PBE.

Cell and atoms, written as extended XYZ:
```
6
Lattice="4.538 -3.652 0.000 4.538 3.652 0.000 -0.006 0.000 5.457" Properties=species:S:1:pos:R:3 pbc="T T T"
Mn 0.471 0.000 0.816
Mn 8.600 0.000 4.641
Hg 2.269 1.826 0.000
Hg 2.269 -1.826 0.000
I 4.536 1.845 2.729
I 4.536 -1.845 2.729
```

Summary:
D(E_F) = 1.323 states/eV/f.u.
Energy relative to the lowest polymorph listed for this composition = 197 meV per atom

=====

A relaxed structure of MnHgI2N, computed with PBE.

Cell and atoms, written as extended XYZ:
```
5
Lattice="6.219 0.000 0.000 0.000 6.219 0.000 0.000 0.000 4.098" Properties=species:S:1:pos:R:3 pbc="T T T"
Mn 0.000 0.000 0.000
Hg 3.110 3.110 2.049
I 0.000 3.110 2.049
I 3.110 0.000 2.049
N 3.110 3.110 0.000
```

Summary:
D(E_F) = 2.370 states/eV/f.u.
Energy relative to the lowest polymorph listed for this composition = 868 meV per atom

=====

A relaxed structure of MnHgI2N, computed with PBE.

Cell and atoms, written as extended XYZ:
```
5
Lattice="5.785 0.000 0.000 0.000 5.785 0.000 0.000 0.000 3.635" Properties=species:S:1:pos:R:3 pbc="T T T"
Mn 0.000 0.000 0.000
Hg 2.892 2.892 1.817
I 0.000 2.892 0.000
I 2.892 0.000 0.000
N 0.000 0.000 1.817
```

Summary:
D(E_F) = 4.417 states/eV/f.u.
Energy relative to the lowest polymorph listed for this composition = 0 meV per atom

=====

A relaxed structure of Na2MnHgI6, computed with PBE.

Cell and atoms, written as extended XYZ:
```
10
Lattice="7.641 0.000 0.000 3.817 6.621 0.000 3.813 2.211 7.689" Properties=species:S:1:pos:R:3 pbc="T T T"
____________


  该节目:“总在风雨后阳光、”快男。快女     第一轮:   豫卫和魏晨:“天下有情人”   黄英吉杰:“誓言” BR>刘熙俞灏明:“深情相拥”   江映蓉张杰:“爱的魔法”   李霄云苏醒:“红”(哈利勒)的   第二轮:   郁可唯: “无尽的爱天”   黄英:“娜鲁湾情歌”   刘惜君:“手”   江映蓉:“如果没有你”   李霄云:“雪羽”   BR>表演秀:“相亲相爱的一家人”的前10名快女?丑女无敌3名机组人员     第三轮:   郁可唯:“玫瑰人生”   黄英: “一无所有”   刘熙:“枉凝眉”   江映蓉:“精武门”(因为直接晋级?没有唱)   李霄云:“斗牛”。






今天的你 很应该给自己准备一个心情笔记本呢。对生活的感悟就像泉水一样源源不断地湧出来、如果不及时记录下来的话。真是很浪费灵感资源呢。独处的时间?也给自己多安排一点吧,拍浪的海岸、平静的湖湾,看得见夕阳的山头……诗情画意的地方?今天应该0824去拜访呢? ,

我姓季 然后怎么说



  I'm in Love With the DJ (Video Edit) - Manian   I'm in love with the DJ!   I see you standing on the floor   Body screaming, "give me more!"   And a bottle of Patron,   take a shot, take a shot!   Party rocking all the world,   she can be my only girl   Can't just watching the horizon   Cause I know you like it loud!   Hold, hold, tight, tight, yes, here we go!   Order up another bottle,   party like a supermodel   ..will keep us dancing   while we're over here romancing   Come and get it while it's hot,   Like a horizon we'll be glancing!   I'mma dance forever   And disco lights will shine my way!   Cause tonight we're together   We're going up, up, up   I'm in love with the DJ!   I'mma dance forever   And disco lights will shine my way!   Cause tonight we're together   We're going up, up, up   I'm in love with the DJ!   Up, up, up, oh, oh   I'm in love with the DJ!   Up, up, up, oh, oh   Shine my, shine my way!   Up, up, up, oh, oh   I'm in love with the DJ!   Up, up, up, oh, oh   Let's get right back to the topic   Way before you tell me stop it   Take you shopping every day   Can't do that, can't do that!   Even thought I only met you,   Pretty sure I won't forget you   So let's get it on the floor   Because the club about to shake!   Grab her, hold, tight, guess, here we go   Order up another bottle,   party like a supermodel   ..will keep us dancing   while we're over here romancing   Come and get it while it's hot,   Like a horizon we'll be glancing!   I'mma dance forever   And disco lights will shine my way!   Cause tonight we're together   We're going up, up, up   I'm in love with the ~~   disco lights will shine my way!   I'mma dance forever   And disco lights will shine my way!   Cause tonight we're together   We're going up, up, up   I'm in love with the DJ!   Up, up, up, oh, oh   I'm in love with the DJ!   Up, up, up, oh, oh   Shine my, shine my way!   Up, up, up, oh, oh   I'm in love with the DJ!   Up, up, up, oh, oh   I'm in love with the DJ!!


  融会贯通 通宵达旦 旦种暮成,


  梦2041见在结冰雪的河里走的梦境解释:   心情容易烦躁不安的你。这两天会故意做出来一些多余的事情!例如在屋里走来走去、一会收拾这个一会收拾那个,让屋里的其他人看了着实有些心烦,   梦见在结冰雪的河里走的吉凶:   唯独若有连珠局者?论为大吉。原命喜水尤佳,有一时之大势力?大发展而得名取利!但若品行不端 行为不修,胜与败均极端而短暂终于变成荒亡流散,如泡沬梦幻而结果是悲运灭亡又孤独伶仃人生。【中吉】,



## The page is interrupted by materials data
- - -
Below is MoPdN2F after structural relaxation, with properties calculated at the PBE+U level.

Cell lengths 3.975, 3.975, 4.033 Å; angles 90.00, 90.00, 90.00 degrees
Element x y z (fractional)
Mo 0.000 0.000 0.000
Pd 0.500 0.500 0.500
N 0.000 0.500 0.000
N 0.500 0.000 0.000
F 0.000 0.000 0.500

## Properties
V (Å³ per cell): 63.7
DOS(E_F) (states/eV per cell): 2.87
Energy relative to the lowest polymorph listed for this composition (eV/atom): 0.000
Crystal system: tetragonal
E (eV per atom): -5.790
Total magnetic moment (μB/cell): 0.00
Symmetry: No. 123

* * * * *

No. 1
First-principles (meta-GGA SCAN) data for a PBEsol-optimized structure of PtBrCl2, as listed in Alexandria.

## Properties
Formation energy without anion corrections in meV/atom: 552.9
E_tot in eV/atom: -25.85
Energy above the lowest structure with this stoichiometry in meV/atom: 0
DOS at the Fermi energy in states/eV per atom: 0.758

Unit cell a=7.1942 b=7.2453 c=3.2847 alpha=90.00 beta=105.57 gamma=90.00
Space group C2/m (No. 12)
One atom of each set of equivalent atoms:
Pt1 0.0000 0.0000 0.0000
Br1 0.0000 0.5000 0.0000
Cl1 0.2500 0.2500 0.0000


No. 2
First-principles (meta-GGA SCAN) data for a PBEsol-optimized structure of Mg2GaHgB, as listed in Alexandria.

## Properties
Formation energy from the elements in eV per atom: 1.06
E_tot in eV/atom: -19.32
DOS at the Fermi energy in states/eV per atom: 0.676

Unit cell a=5.1327 b=5.1327 c=4.8714 alpha=90.00 beta=90.00 gamma=90.00
Space group P4/mmm (No. 123)
One atom of each set of equivalent atoms:
Mg1 0.0000 0.5000 0.0000
Ga1 0.0000 0.0000 0.5000
Hg1 0.0000 0.0000 0.0000
B1 0.5000 0.5000 0.5000


No. 3
First-principles (meta-GGA SCAN) data for a PBEsol-optimized structure of Li2AgP2, as listed in Alexandria.

## Properties
Formation energy from the elements in eV per atom: -0.44
E_tot in eV/atom: -11.83
DOS at the Fermi energy in states/eV per atom: 0.199

Unit cell a=6.3919 b=6.3919 c=3.7855 alpha=90.00 beta=90.00 gamma=90.00
Space group P4/mbm (No. 127)
One atom of each set of equivalent atoms:
Li1 0.1734 0.3266 0.0000
Ag1 0.0000 0.0000 0.5000
P1 0.1183 0.6183 0.5000


No. 4
First-principles (meta-GGA SCAN) data for a PBEsol-optimized structure of YSi2As, as listed in Alexandria.

## Properties
Formation energy without anion corrections in meV/atom: -233.0
E_tot in eV/atom: -17.25
DOS at the Fermi energy in states/eV per atom: 0.500

Unit cell a=3.6178 b=3.6178 c=5.6718 alpha=90.00 beta=90.00 gamma=90.00
Space group P4mm (No. 99)
One atom of each set of equivalent atoms:
Y1 0.0000 0.0000 0.0000
Si1 0.0000 0.0000 0.5050
Si2 0.5000 0.5000 0.6994
As1 0.5000 0.5000 0.2677


No. 5
First-principles (meta-GGA SCAN) data for a PBEsol-optimized structure of RhSeBr2, as listed in Alexandria.

## Properties
Formation energy without anion corrections in meV/atom: 775.3
E_tot in eV/atom: -22.42
Energy above the lowest structure with this stoichiometry in meV/atom: 1007
DOS at the Fermi energy in states/eV per atom: 0.907
- - -
## The materials data stop here


  女生前三名:冠军:李慧1分13秒4 亚军:杨燕1分14秒7 季军:王慧荣1分20秒3 男生前三名:冠军:金川58秒 亚军:汪进1分01秒5 季军:黄桂隆1分02秒0